Data:
=====
Entry 1:
Calculated X-ray diffraction stick pattern
Compound: ScAgC
Radiation: Cu Ka
Structure: a cell relaxed with GGA-PBE
Intensities are scaled so that the largest is 100.

Principal peaks in the range 10 to 90 degrees two-theta, in order of rising 2θ:
11.34°, d 7.805, I = 100
32.14°, d 2.785, I = 24
35.25°, d 2.546, I = 64
36.44°, d 2.465, I = 37
37.03°, d 2.428, I = 70
37.87°, d 2.376, I = 35
40.56°, d 2.224, I = 26
44.02°, d 2.057, I = 28
54.64°, d 1.680, I = 13
66.60°, d 1.404, I = 11

Structural model:
```
ScAgC
1.0
3.5385 0.0000 0.0000
0.0000 3.3596 0.0000
-0.9590 0.0000 7.8050
Sc Ag C
2 2 2
Cartesian
0.0000 0.0000 0.0000
0.8224 1.6798 2.7368
0.8231 1.6798 6.0334
2.5948 0.0000 4.6324
1.7121 0.0000 1.3145
2.6539 0.0000 2.2849
```

---

Entry 2:
Calculated X-ray diffraction stick pattern
Compound: ThU2Re9
Radiation: Cu Ka
Structure: a cell relaxed with GGA-PBE
Intensities are scaled so that the largest is 100.

Principal peaks in the range 10 to 90 degrees two-theta, in order of rising 2θ:
30.86°, d 2.898, I = 14
32.52°, d 2.753, I = 19
33.30°, d 2.691, I = 20
37.96°, d 2.370, I = 38
38.17°, d 2.358, I = 15
39.91°, d 2.259, I = 100
40.33°, d 2.236, I = 39
43.86°, d 2.064, I = 21
69.92°, d 1.345, I = 18
86.12°, d 1.129, I = 14

Structural model:
```
ThU2Re9
1.0
4.7443 -2.5733 0.0000
4.7443 2.5733 0.0000
-3.7497 0.0000 9.0392
Th U Re
1 2 9
Cartesian
0.0000 0.0000 0.0000
-0.1223 0.0000 3.9879
5.8612 0.0000 5.0513
2.2959 1.3091 2.2890
2.9555 0.0000 0.0545
3.4430 1.3091 6.7502
1.0416 0.0000 6.7986
2.8694 0.0000 4.5196
4.6973 0.0000 2.2405
2.2959 -1.3091 2.2890
2.7834 0.0000 8.9847
3.4430 -1.3091 6.7502
```

----------

Computed powder diffractogram
Compound: CsRbVO3
Radiation: λ = 1.5418 Å (Cu Kα)
Structure: DFT lattice parameters and positions (PBE+U)
Lines closer than 0.1° are merged.

Most intense lines, 2θ = 10–90°, sorted by position:
Position (°2θ), d [Å], I_rel
19.0, 4.682, 15.5
22.6, 3.941, 17.4
26.5, 3.360, 100.0
27.3, 3.263, 89.6
32.8, 2.730, 21.9
38.5, 2.341, 46.2
46.8, 1.940, 20.1
47.3, 1.921, 31.3
53.9, 1.700, 27.1
54.6, 1.680, 18.5
62.1, 1.494, 17.2
74.2, 1.278, 14.3

Structural model:
```
data_CsRbVO3
_cell_length_a 6.7201
_cell_length_b 6.7201
_cell_length_c 7.8821
_cell_angle_alpha 90.00
_cell_angle_beta 90.00
_cell_angle_gamma 120.00
_symmetry_space_group_name_H-M 'P 1'
_symmetry_Int_Tables_number 1
loop_
_symmetry_equiv_pos_as_xyz
'x,y,z'
loop_
_atom_site_label
_atom_site_fract_x
_atom_site_fract_y
_atom_site_fract_z
_atom_site_occupancy
Cs1 0.3333 0.6667 0.2500 1
Cs2 0.6667 0.3333 0.7500 1
Rb1 0.0000 0.0000 0.0000 1
Rb2 0.0000 0.0000 0.5000 1
V1 0.3333 0.6667 0.7500 1
V2 0.6667 0.3333 0.2500 1
O1 0.1846 0.3693 0.7500 1
O2 0.1846 0.8154 0.7500 1
O3 0.3693 0.1846 0.2500 1
O4 0.6307 0.8154 0.7500 1
O5 0.8154 0.1846 0.2500 1
O6 0.8154 0.6307 0.2500 1
```

----------

No. 1
The following is a simulated X-ray powder pattern of NaLi4Ca3. It was derived from DFT lattice parameters and positions (GGA-PBE), using Cu Kα.

Top 10 peaks for 2θ from 10° to 90°, in order of rising 2θ:
d 3.993, intensity 38
d 3.922, intensity 73
d 2.798, intensity 100
d 2.773, intensity 49
d 2.278, intensity 32
d 1.961, intensity 17
d 1.779, intensity 14
d 1.760, intensity 14
d 1.620, intensity 17
d 1.606, intensity 33

Structure:
```
NaLi4Ca3
1.0
3.922 0.000 0.000
0.000 3.922 0.000
0.000 0.000 15.970
Na Li Ca
1 4 3
Cartesian
0.000 0.000 0.000
1.961 1.961 1.835
1.961 1.961 5.960
1.961 1.961 10.010
1.961 1.961 14.135
0.000 0.000 3.965
0.000 0.000 7.985
0.000 0.000 12.006
```

No. 2
The following is a simulated X-ray powder pattern of Nb2HgB. It was derived from DFT lattice parameters and positions (GGA-PBE), using Cu Kα.

Top 10 peaks for 2θ from 10° to 90°, in order of rising 2θ:
d 7.384, intensity 20
d 2.794, intensity 10
d 2.613, intensity 100
d 2.461, intensity 27
d 2.228, intensity 71
d 1.613, intensity 23
d 1.540, intensity 21
d 1.373, intensity 14
d 1.349, intensity 24
d 1.306, intensity 25

Structure:
```
Nb2HgB
1.0
=====

Work order:
The reader should give back the part of the block further above that starts with the line with "_cell_angle_gamma 120.00" and stops after the one with "2.798, intensity".

Completed:
_cell_angle_gamma 120.00
_symmetry_space_group_name_H-M 'P 1'
_symmetry_Int_Tables_number 1
loop_
_symmetry_equiv_pos_as_xyz
'x,y,z'
loop_
_atom_site_label
_atom_site_fract_x
_atom_site_fract_y
_atom_site_fract_z
_atom_site_occupancy
Cs1 0.3333 0.6667 0.2500 1
Cs2 0.6667 0.3333 0.7500 1
Rb1 0.0000 0.0000 0.0000 1
Rb2 0.0000 0.0000 0.5000 1
V1 0.3333 0.6667 0.7500 1
V2 0.6667 0.3333 0.2500 1
O1 0.1846 0.3693 0.7500 1
O2 0.1846 0.8154 0.7500 1
O3 0.3693 0.1846 0.2500 1
O4 0.6307 0.8154 0.7500 1
O5 0.8154 0.1846 0.2500 1
O6 0.8154 0.6307 0.2500 1
```

----------

No. 1
The following is a simulated X-ray powder pattern of NaLi4Ca3. It was derived from DFT lattice parameters and positions (GGA-PBE), using Cu Kα.

Top 10 peaks for 2θ from 10° to 90°, in order of rising 2θ:
d 3.993, intensity 38
d 3.922, intensity 73
d 2.798, intensity 100